
This blog

Hello, When I started this blog, I had an idea of how I wanted to present my content and how often I wanted to post. I started this blog at a time in my life when a lot of things were occuring. Good things, but many things. Then, things started to slow down. So did my posting. I have big gaps of time where I didn't post anything at all. And I felt guilty. Instead of getting back to it, I ended up not posting.  I wanted this blog to be more about the adventures we go on, details about camping trips, conservation areas, hikes, etc. I didn't want it to be too personal, even if it was a way to keep track of our outings. I am at a point where I've noticed, though, that I keep encouraging others to follow their dreams and thoughts. It could be for simple everyday things, or big and challenging tasks. I don't even follow that in my own life. I should listen to my own advice. There are things I want to accomplish. I need to figure out exactly what those things are and sit d

Camping at Silent Lake Provincial Park

# 1
Structure and simulated powder diffraction line list of MnPt6Rh23 (a PBE-relaxed structure; Cu Kα (weighted mean of Kα1 and Kα2)).
Neutral-atom scattering factors, no anomalous dispersion.

Structure:
Lattice parameters (Å, degrees): 7.6812 7.6812 15.2874 90.00 90.00 90.00
Space group I4/mmm (No. 139)
Inequivalent atoms, fractional coordinates:
Mn (0.0000, 0.0000, 0.0000) (multiplicity 2)
Pt (0.0000, 0.0000, 0.2498) (multiplicity 4)
Pt (0.2475, 0.2475, 0.0000) (multiplicity 8)
Rh (0.0000, 0.0000, 0.5000) (multiplicity 2)
Rh (0.0000, 0.2540, 0.3728) (multiplicity 16)
Rh (0.0000, 0.2551, 0.1277) (multiplicity 16)
Rh (0.0000, 0.5000, 0.0000) (multiplicity 4)
Rh (0.2500, 0.2500, 0.2500) (multiplicity 8)

Top 8 peaks for 2θ = 10–90°, sorted by position:
- 2θ 40.76, d 2.214, I 100
- 2θ 47.34, d 1.920, I 32
- 2θ 47.59, d 1.911, I 16
- 2θ 69.19, d 1.358, I 10
- 2θ 69.38, d 1.355, I 20
- 2θ 83.52, d 1.157, I 25
- 2θ 83.89, d 1.153, I 12
- 2θ 88.29, d 1.107, I 11



# 2
Structure and simulated powder diffraction line list of MnPt2Rh (a PBE-relaxed structure; Cu Kα (weighted mean of Kα1 and Kα2)).
Neutral-atom scattering factors, no anomalous dispersion.

Structure:
Lattice parameters (Å, degrees): 3.8878 3.8878 7.8093 90.00 90.00 90.00
Space group I4/mmm (No. 139)
Inequivalent atoms, fractional coordinates:
Mn (0.0000, 0.0000, 0.0000) (multiplicity 2)
Pt (0.0000, 0.5000, 0.2500) (multiplicity 4)
Rh (0.0000, 0.0000, 0.5000) (multiplicity 2)

Top 8 peaks for 2θ = 10–90°, sorted by position:
- 2θ 22.77, d 3.905, I 17
- 2θ 32.57, d 2.749, I 14
- 2θ 40.11, d 2.248, I 100
- 2θ 46.52, d 1.952, I 16
- 2θ 46.73, d 1.944, I 32
- 2θ 68.06, d 1.378, I 21
- 2θ 81.89, d 1.176, I 13
- 2θ 82.20, d 1.173, I 25



# 3
Structure and simulated powder diffraction line list of MnPtRh2S8 (a PBE-relaxed structure; Cu Kα (weighted mean of Kα1 and Kα2)).
Neutral-atom scattering factors, no anomalous dispersion.

Structure:
Lattice parameters (Å, degrees): 4.6808 7.3254 5.6352 90.00 90.44 90.00
Space group P2/m (No. 10)
Inequivalent atoms, fractional coordinates:
Mn (0.0000, 0.0000, 0.0000) (multiplicity 1)
Pt (0.0000, 0.5000, 0.0000) (multiplicity 1)
Rh (0.5000, 0.2409, 0.5000) (multiplicity 2)
S (0.1912, 0.0000, 0.3685) (multiplicity 2)
S (0.2118, 0.5000, 0.3849) (multiplicity 2)
S (0.2892, 0.2293, 0.8831) (multiplicity 4)

Top 8 peaks for 2θ = 10–90°, sorted by position:
- 2θ 24.63, d 3.614, I 53
- 2θ 24.82, d 3.587, I 51
- 2θ 29.08, d 3.071, I 29
- 2θ 31.00, d 2.885, I 100
- 2θ 31.76, d 2.817, I 38
- 2θ 44.86, d 2.021, I 29
- 2θ 48.83, d 1.865, I 38

Hello, I've been getting back into looking up trails and such since spring will eventually show even more signs of arriving in our area and I want to be ready for outdoor adventures! The birds are chirping in the morning, some greenery is started to pop out of the ground, there is light up till the children's bedtime... all exciting things.  In doing so, I figured I could write a short post regarding our extended family camping trip we took last August at Silent Lake Provincial Park . Same gang as the previous year at Bon Echo, minus my father who was ill and unable to join us. He's fine, by the way.  We did our usual Wednesday to Saturday schedule, which helps avoid crowds. We stuck to the month of August and it was thankfully warmer than the previous year.  I seem to have misplaced our map, but I do believe our sites and yurt were in the Pincer Bay campground. We had two tent sites next to each other, but with a good distance between the two (had to go on the roa

It's been almost a year...

Hello, It has been almost a full year since I last posted. I sadly ended up doing what I was hoping not to do with this blog. Which was to not consistently post. There are no excuses. I've always been this way when it comes to blogs I have created in the past.  Since I don't really have a following, I do not feel like I am letting anyone down. Except myself. I was hoping this would also be a good way to keep track of the outings we do, the wonderful sights we see and just overall memories of outdoor adventures for myself and my family.  Now, don't go thinking that we have been sitting around not getting out there. We've still been busy! I must admit we did not get out as much in 2018 as I would have liked, but such is life. We will turn that around this year. I just bought new trail runners and I'm pretty excited to break them in.  We already have our big extended family camping trip booked for Charleston Provincial Park. If you have been there, please let u

Off the trail - The First 40 Miles

Hello fellow outdoorists! I hope you are all doing well and are able to get outside. We were up in Sudbury a few months ago. We did not end up on a trail but we did use our snowshoes on an unbeaten path that goes behind the house where we stay and other yards. We did not go for long as the children tired quickly in the deep snow, but it was still nice to get out. The weather was fantastic.  As you can see from the post name, today I will be doing a second instalment of Off the trail and introduce you (or remind you of) T he First 40 Miles . Today, I will be writing about a podcast I discovered a few months back. The hosts are Heather Legler and Josh Legler. They designed their logo themselves using one of Josh's photos and Heather overlaying her own graphics.  Right now, they have 182 episodes... I am not halfway done... haha I started from their first episode and I'm working my way to newer ones. I also only recently discovered that they have bloopers at the end of the e

Short walk around Mill Pond, Milton

Hello, It has been a rather long time since I've posted. I have another post in the draft folder that I meant to tidy and publish a few months back, and sadly it has sat there forgotten.  I personally find it tough to post about hiking, camping, etc., when the weather outside is frightful, but I need to get over it. Life doesn't stop just because it's not the more pristine weather outside! I need to come up with posts that are related to these topics and that can be shared with my readers in those downtimes. I still have a love and passion for all these things even in less than desirable conditions, so my blog should continue to be updated! All that to say, the weather is getting nicer. I'm very excited about this. It feels like it took a really long time for us to get there this year, with a late snow storm in April and then ridiculous winds and such in this early May. We had a huge pine tree blocking one entrance of our townhouse complex driveway! We took adva

[Unrelated to this piece: materials data]
Entry 1:
Computed powder diffractogram
Compound: SmCuSeO
Radiation: Cu Ka
Structure: a structure optimized by DFT (PBE)
Intensities are scaled so that the largest is 100.

Crystal structure
```
8
Lattice="3.970 0.000 0.000 0.000 3.970 0.000 0.000 0.000 8.787" Properties=species:S:1:pos:R:3 pbc="T T T"
Sm 0.993 0.993 1.177
Sm 2.978 2.978 7.610
Cu 0.993 2.978 4.393
Cu 2.978 0.993 4.393
Se 0.993 0.993 5.950
Se 2.978 2.978 2.837
O 0.993 2.978 0.000
O 2.978 0.993 0.000
```

Most intense lines, 15 to 90 degrees two-theta, sorted by position:
d/Å	2θ/deg	I/Imax
2.946	30.34	100
2.807	31.88	20
2.674	33.51	23
2.366	38.04	28
2.357	38.18	13
1.985	45.70	35
1.730	52.93	29
1.646	55.85	35
1.404	66.63	11
1.267	74.96	9

Entry 2:
Computed powder diffractogram
Compound: SrCuSe4O12
Radiation: Cu Ka
Structure: a structure optimized by DFT (PBE)
Intensities are scaled so that the largest is 100.

Crystal structure
```
18
Lattice="7.477 0.000 0.000 0.000 3.735 4.306 0.000 -3.735 4.306" Properties=species:S:1:pos:R:3 pbc="T T T"
Sr 0.000 0.000 0.000
Cu 3.738 0.000 3.929
Se 1.929 -1.819 6.316
Se 1.929 1.819 6.316
Se 5.548 -1.819 6.316
Se 5.548 1.819 6.316
O 0.000 -1.609 5.886
O 0.000 1.609 5.886
O 1.493 0.000 2.116
O 1.930 -2.317 3.606
O 1.930 2.317 3.606
O 2.451 0.000 5.366
O 3.738 -1.291 1.981
O 3.738 1.291 1.981
O 5.026 0.000 5.366
O 5.547 -2.317 3.606
O 5.547 2.317 3.606
O 5.984 0.000 2.116
```

Most intense lines, 15 to 90 degrees two-theta, sorted by position:
d/Å	2θ/deg	I/Imax
4.504	19.71	49
4.306	20.63	22
3.736	23.81	26
2.822	31.71	100
2.642	33.93	43
2.279	39.55	19
2.153	41.96	17
1.868	48.74	29
1.669	55.00	26
1.558	59.32	41

Entry 3:
Computed powder diffractogram
Compound: Sr2CuSeO2
Radiation: Cu Ka
Structure: a structure optimized by DFT (PBE)
Intensities are scaled so that the largest is 100.

Crystal structure
```
6
Lattice="3.951 0.000 0.000 0.000 3.951 0.000 0.000 0.000 6.987" Properties=species:S:1:pos:R:3 pbc="T T T"
Sr 0.000 0.000 1.694
Sr 0.000 0.000 5.292
Cu 1.976 1.976 0.000
Se 1.976 1.976 3.493
O 0.000 1.976 0.000
O 1.976 0.000 0.000
```

Most intense lines, 15 to 90 degrees two-theta, sorted by position:
d/Å	2θ/deg	I/Imax
2.794	32.03	48
2.617	34.26	100
1.976	45.93	26
1.747	52.38	8
1.577	58.54	41
1.481	62.73	14
1.397	66.98	8
1.309	72.19	12
1.250	76.19	8
1.232	77.44	9

Entry 4:
Computed powder diffractogram
Compound: Tl2Cu3Se6O18
Radiation: Cu Ka
Structure: a structure optimized by DFT (PBE)
Intensities are scaled so that the largest is 100.

Crystal structure
```
29
Lattice="4.852 0.000 0.000 1.795 9.664 0.000 1.398 3.654 9.432" Properties=species:S:1:pos:R:3 pbc="T T T"
Tl 1.039 2.957 3.038
Tl 7.007 10.361 6.394
Cu 4.445 12.713 8.616
Cu 3.324 4.832 0.000
Cu 3.601 0.605 0.816
Se 2.460 6.263 9.075
Se 2.904 9.456 3.029
Se 3.254 5.380 3.299
Se 4.792 7.938 6.134
Se 5.141 3.862 6.404
Se 5.585 7.055 0.358
O 1.905 9.152 1.651
O 1.542 5.130 3.420
O 1.306 2.857 5.441
O 3.316 11.076 8.540
O 1.898 3.703 0.723
O 2.191 1.076 2.538
O 3.536 4.864 9.033
[The piece goes on]

Snowshoeing at Crawford Lake Conservation Area

**Attached: calculated crystals**
- - -
# 1
Structure and calculated X-ray diffraction stick pattern of Cs2KCuP (a PBE-relaxed structure; Cu Ka).
Neutral-atom scattering factors, no anomalous dispersion.

Main lines, sorted by position (2θ = 10–90°):
17.58 deg, 5.045 Å, intensity 18; 20.34 deg, 4.365 Å, intensity 32; 24.96 deg, 3.567 Å, intensity 100; 27.01 deg, 3.301 Å, intensity 70; 32.41 deg, 2.762 Å, intensity 41; 35.59 deg, 2.523 Å, intensity 39; 41.35 deg, 2.184 Å, intensity 34; 45.24 deg, 2.004 Å, intensity 36; 48.92 deg, 1.862 Å, intensity 30; 55.68 deg, 1.651 Å, intensity 29

Cell lengths 7.1348, 7.1348, 4.3651 Å; angles 90.00, 90.00, 90.00 degrees
Element x y z (fractional)
Cs: 0.0000 0.5000 0.0000
Cs: 0.5000 0.0000 0.0000
K: 0.0000 0.0000 0.5000
Cu: 0.5000 0.5000 0.0000
P: 0.5000 0.5000 0.5000

---

# 2
Structure and calculated X-ray diffraction stick pattern of CsKCuSe2 (a PBE-relaxed structure; Cu Ka).
Neutral-atom scattering factors, no anomalous dispersion.

Main lines, sorted by position (2θ = 10–90°):
12.54 deg, 7.060 Å, intensity 41; 23.12 deg, 3.847 Å, intensity 52; 27.63 deg, 3.228 Å, intensity 23; 30.27 deg, 2.953 Å, intensity 100; 31.96 deg, 2.800 Å, intensity 36; 41.13 deg, 2.195 Å, intensity 23; 42.55 deg, 2.125 Å, intensity 20; 43.21 deg, 2.094 Å, intensity 12; 47.10 deg, 1.930 Å, intensity 15; 55.86 deg, 1.646 Å, intensity 20

Cell lengths 5.6052, 7.9823, 7.0599 Å; angles 90.00, 90.00, 90.00 degrees
Element x y z (fractional)
Cs: 0.2500 0.0000 0.2180
Cs: 0.7500 0.0000 0.7820
K: 0.2500 0.5000 0.3925
K: 0.7500 0.5000 0.6075
Cu: 0.0000 0.5000 0.0000
Cu: 0.5000 0.5000 0.0000
Se: 0.2500 0.2949 0.8145
Se: 0.2500 0.7051 0.8145
Se: 0.7500 0.2949 0.1855
Se: 0.7500 0.7051 0.1855

---

# 3
Structure and calculated X-ray diffraction stick pattern of CsLu2Cu3Se5 (a PBE-relaxed structure; Cu Ka).
Neutral-atom scattering factors, no anomalous dispersion.

Main lines, sorted by position (2θ = 10–90°):
24.80 deg, 3.590 Å, intensity 50; 28.40 deg, 3.143 Å, intensity 69; 28.88 deg, 3.092 Å, intensity 100; 30.29 deg, 2.951 Å, intensity 78; 31.28 deg, 2.860 Å, intensity 91; 35.40 deg, 2.535 Å, intensity 67; 37.67 deg, 2.388 Å, intensity 64; 44.19 deg, 2.049 Å, intensity 68; 47.01 deg, 1.933 Å, intensity 74; 49.70 deg, 1.835 Å, intensity 45

Cell lengths 7.6257, 7.6257, 17.1582 Å; angles 90.00, 90.00, 148.82 degrees
Element x y z (fractional)
Cs: 0.0606 0.9394 0.7500
Cs: 0.9394 0.0606 0.2500
Lu: 0.1925 0.8075 0.0918
Lu: 0.1925 0.8075 0.4082
Lu: 0.8075 0.1925 0.5918
Lu: 0.8075 0.1925 0.9082
Cu: 0.3437 0.6563 0.7500
Cu: 0.4174 0.5826 0.0328
Cu: 0.4174 0.5826 0.4672
Cu: 0.5826 0.4174 0.5328
Cu: 0.5826 0.4174 0.9672
Cu: 0.6563 0.3437 0.2500
Se: 0.1707 0.8293 0.5695
Se: 0.1707 0.8293 0.9305
Se: 0.2391 0.7609 0.2500
Se: 0.4363 0.5637 0.6125
Se: 0.4363 0.5637 0.8875
Se: 0.5637 0.4363 0.1125
Se: 0.5637 0.4363 0.3875
Se: 0.7609 0.2391 0.7500
Se: 0.8293 0.1707 0.0695
Se: 0.8293 0.1707 0.4305

---

Copy entry 1 word for word.
- - -
**So much for the calculated crystals**

Hello dear outdoor enthusiasts! I hope you are doing well. We have been dealing with colds and flus. And bad weather. We live in Southern Ontario and the weather has been rather up and down. We've had bouts of minus 30 degrees Celsius and then of almost plus 10! Weather, make up your mind. This makes it harder for us to go out and enjoy the outdoors. We do go for walks around the neighbourhood if the weather is stable enough and we are nicely bundled up. We even managed to go walk by the water at LaSalle Marina Park in Burlington and see all the swans that overwinter  there.  Other than walking/hiking, we have been able to break in our new snowshoes! My parents were beyond generous and gave us all snowshoes for Christmas. They live by a lake so we were able to try them out around their place, walking on the frozen lake and then through a park. It was great!  We don't get too many opportunities to go snowshoeing around our place though, mostly with this season's sno

Off the trail - Homemade Wanderlust

Hello dear friends, Time gets away from you. The weather gets colder. It's dark by the time you get home from work. Your weekends are filled with visits and errands.  So many excuses! I do feel bad that we haven't been able to get out much over the last couple of months. This is, I think, typical for this time of year, here.  I figured it would be a good time to start a new series on my blog. I would like to share with you all some outdoor related blogs, vlogs, magazines, books, etc. that I enjoy and figured you might be interested in as well.  For the first instalment, I wanted to talk about a young lady by the name of  Jessica "Dixie" Mills . It was actually my husband that found her online, actually on  YouTube , while looking up information about hiking shoes! He then shared his discovery with me and I have to admit, I'm hooked. I even went back to her older videos in order to absorb as much of her positivity and experience as I could.  In 2015 she set